Blue Labour has been tragically vindicated

Blue Labour
5 min readDec 14, 2019


by Jonathan Rutherford

+++
1.
NaMgAsSe2 after structural relaxation, computed with GGA-PBE.

Calculated values
- ΔE to the lowest computed polymorph: 0 meV/atom
- Electronic total energy: -15.05 eV per cell
- M_tot: 0.00 μB/f.u.
- Space group: P4/mmm (123)
- Crystal system: tetragonal
- Formation energy from raw total energies: -0.103 eV/atom

Lattice parameters (Å, degrees): 5.197 5.197 4.976 90.00 90.00 90.00
Element x y z (fractional)
1 As 0.000 0.000 0.500
2 Na 0.500 0.500 0.500
3 Se 0.500 0.000 0.000
4 Se 0.000 0.500 0.000
5 Mg 0.000 0.000 0.000

---

2.
Na2MgAsSe4 after structural relaxation, computed with GGA-PBE.

Calculated values
- Electronic total energy: -56.98 eV per cell
- M_tot: 0.00 μB/f.u.
- Space group: Imma (74)
- Crystal system: orthorhombic
- Formation energy from raw total energies: -0.708 eV/atom

Lattice parameters (Å, degrees): 8.068 8.068 8.416 121.44 121.44 90.21
Element x y z (fractional)
1 Se 0.755 0.280 0.517
2 Se 0.245 0.720 0.483
3 Se 0.220 0.745 0.983
4 Se 0.758 0.742 0.975
5 Se 0.780 0.255 0.017
6 Se 0.242 0.258 0.025
7 Se 0.242 0.258 0.475
8 Se 0.758 0.742 0.525
9 Mg 0.000 0.500 0.500
10 Mg 0.000 0.500 0.000
11 As 0.500 0.500 0.500
12 As 0.000 0.000 0.000
13 Na 0.500 0.000 0.500
14 Na 0.500 0.000 0.000
15 Na 0.000 0.000 0.500
16 Na 0.500 0.500 0.000


Material: K4La3VO8
Method: DFT, PBE+U
State: relaxed

CIF file:
```
data_K4La3VO8
_chemical_formula_sum 'K8 La6 V2 O16'
_symmetry_space_group_name_H-M 'C 1 2/m 1'
_symmetry_Int_Tables_number 12
_symmetry_space_group_name_Hall '-C 2y'
_cell_length_a 12.5345
_cell_length_b 7.1445
_cell_length_c 7.5117
_cell_angle_alpha 90.00
_cell_angle_beta 123.49
_cell_angle_gamma 90.00
loop_
_atom_site_label
_atom_site_fract_x
_atom_site_fract_y
_atom_site_fract_z
_atom_site_occupancy
K1 0.0000 0.0000 0.0000 1
K2 0.0000 0.5000 0.0000 1
K3 0.2500 0.2500 0.0000 1
La1 0.0000 0.0000 0.5000 1
La2 0.2500 0.2500 0.5000 1
V1 0.0000 0.5000 0.5000 1
O1 0.0145 0.2790 0.3222 1
O2 0.2297 0.0000 0.6950 1
O3 0.2326 0.5000 0.6992 1
```

Calculated values
Magnetic moment, μB/f.u.: 2.0
Energy, eV/atom: -6.52


1.
# LaNiW2 PBEsol relaxed
# - formation energy from the elements (eV per atom) = 0.577
# - distance to the lowest polymorph of the same formula (eV/f.u.) = 0.000
data_LaNiW2
_cell_length_a 2.7905
_cell_length_b 3.4430
_cell_length_c 7.4717
_cell_angle_alpha 90.00
_cell_angle_beta 90.00
_cell_angle_gamma 90.00
_symmetry_space_group_name_H-M 'P m m m'
_symmetry_Int_Tables_number 47
loop_
_symmetry_equiv_pos_as_xyz
'x,y,z'
'-x,-y,-z'
'-x,-y,z'
'x,y,-z'
'x,-y,-z'
'-x,y,z'
'-x,y,-z'
'x,-y,z'
loop_
_atom_site_label
_atom_site_type_symbol
_atom_site_fract_x
_atom_site_fract_y
_atom_site_fract_z
La1 La 0.0000 0.0000 0.0000
Ni1 Ni 0.0000 0.0000 0.5000
W1 W 0.5000 0.5000 0.3272

2.
# CaZrFe PBEsol relaxed
# - formation energy from the elements (eV per atom) = 1.138
# - distance to the lowest polymorph of the same formula (eV/f.u.) = 0.000
data_CaZrFe
_cell_length_a 6.3581
_cell_length_b 6.3581
_cell_length_c 6.3581
+++

Sabrina Huck argued in a LabourList piece earlier this year that the Corbyn movement was failing to develop a coherent theoretical politics to define its identity and its aims. For too long, she wrote, Labour had avoided questions of identity and belonging, and this twin failure had left an intellectual vacuum, which was being ‘exploited’ by Blue Labour thinkers. Unless the movement urgently built its own intellectually coherent, theoretical base it would become a hollow movement overwhelmed by ‘dangerous currents’ and ‘reactionary forces’.

What exactly is Blue Labour that it can cause such melodrama? The Twitter sphere is incoherent on the subject. Only a few years ago the Corbyn movement was galvanising national politics. Until this election it commanded the Labour Party and an enormous membership. But it has now led Labour to its worst defeat since 1935. Corbynism, despite constructing an architecture of supposedly radical supporters in alternative media, never developed any intellectual or political coherence. Why?

Since the election result it is clear that Blue Labour politics has been vindicated. 59 seats were lost in working-class Leave-voting constituencies across the north and midlands. But Blue Labour has no membership and no formal organisation. Until the last few days it was politically marginal within the party. Despite this, its ideas have grown considerably in influence since 2010. Much of the reason is that its politics are mainstream in the country. For some years there has been a political majority for a radical approach to the economy and a culturally conservative approach to society, culture, national defence and security. The Conservatives, understanding this shift, have begun to monopolise the position. Their 80-seat majority shows how effective this strategy has been.

Blue Labour politics can be described as small c conservative and socialist. It is internationalist and European. However, it is not globalist, nor universalist, nor cosmopolitan. People have a culture, language and history. We are social and parochial beings with homes and attachments to places. Our membership of specific solidarities is our entry point into humanity.

The labour movement has been a defence against the power of capital and the state. Resistance to the commodification of labour and its extension into society is part of our democratic modernity. Blue Labour is part of this tradition. It began as a challenge to New Labour’s liberal market economics, support for financial capital, uncritical embrace of globalisation and irresponsible approach to large-scale immigration. Labour had moved from being a party of the people to a ‘progressive’ manager of capitalism.

The growing dominance of liberalism subordinated democracy to the economic realm. Politics became managerial and political conflict was reduced to technical problems and legal procedure. But justice cannot be achieved simply by the procedures of a legal order, by bureaucratic state administration, or by the profit motive of the market. Legal rights are always a political achievement and they must be backed up by a democratic political community.

So Blue Labour believes that the democratic nation and its rule of law is the best means of safeguarding our rights and freedoms. And the nation state is still the best political unit to manage globalisation in the interests of a democratic polity. A democratic nation is defined by its sovereignty. Sovereignty is the source in time and place of the agency that constitutes a political system and underlying this agency is a ‘we’ — a community of people bound together by reciprocity.

For Blue Labour, the ‘we’ is not homogenous but a plural that must be brought together in a democratic politics of the common good. Different groups and classes that constitute a polity have interests that require negotiation to explore the possibility of a common good. Sometimes conflict takes the form of class, sometimes of religious and ethnic communities. Consensus has to be worked for. It requires political skill to build bridges. It is argumentative and it can be angry. Conflict and difference will always be present. Issues get decided in a temporal, revisable way through democratic decision. The only rule is that you have to do it again.

Building a broad political coalition for a majority Labour government requires this kind of democratic politics. It will include people of a more conservative disposition than liberalism is comfortable with. Many of the responses to Sabrina’s article showed that some parts of the left are unwilling to accept this: they will only take part if everybody first agrees with them.

The problem with a politics that opposes borders and the idea of the nation, is that it ends up as an abstraction. It cannot develop an alternative story of democratic nationhood, nor one about belonging, nor about international relations. It ends up championing a global monoculture that is neither here nor there and is only of any benefit to a class of mobile professionals. In rejecting the particular and the historical in favour of the abstract and universal, it loses any conception of a democratic polity in which mutual obligations guarantee rights. In calling for the defence of all workers, it ends up defending none.

In response to this political failure, Sabrina suggested that the Corbyn movement should champion economic equality along with socialist values such as class unity, internationalism, feminism and multiculturalism. That’s fine, but people want decent jobs and wages, good homes in safe and pleasant neighbourhoods, enough money to take a holiday, schools that give their children a good start in life, and a sense of security. Without these things, Corbynism failed utterly, despite public support for many aspects of the manifesto. What matters to the great majority is their family, fairness, decency, working hard and a society in which rights are matched by obligations. They want a country to feel good about and a government that they feel is their own, and which they can trust to safeguard our national defence and security.

In this election a vote to ‘Get Brexit Done’ was a vote for economic and cultural security. The Conservatives, realising this, have begun to pivot into the new centre ground of British politics. But they cannot offer the radical economic restructuring needed to improve the lives of working people in Britain. To win again Labour must seize this time of reflection and rediscover its conservative socialist traditions rooted in the lives of ordinary people. Not to do so will be fatal.



Blue Labour

An advocacy group associated with the British Labour Party